To do:
Repeat the whole of the contents below verbatim.

Entries:
=====
Version w
This record from Alexandria describes a geometry-optimized Li2FeP2O8 structure. The functional is PBE+U.

Magnetic moment (μB per atom): 0.41

abc: 4.8941 4.8941 6.3911
angles: 90.79 90.79 66.22
Atoms (fractional coordinates):
Li (0.0000, 0.0000, 0.0000)
Li (0.6691, 0.6691, 0.2568)
Fe (0.9970, 0.9970, 0.5221)
P (0.3451, 0.3451, 0.2727)
P (0.6406, 0.6406, 0.7538)
O (0.2268, 0.6945, 0.2846)
O (0.2297, 0.2297, 0.4598)
O (0.2478, 0.2478, 0.0664)
O (0.2939, 0.7684, 0.7447)
O (0.6945, 0.2268, 0.2846)
O (0.7372, 0.7372, 0.9634)
O (0.7551, 0.7551, 0.5616)
O (0.7684, 0.2939, 0.7447)

Version x
This record from Alexandria describes a geometry-optimized Li2FeP2O8 structure. The functional is PBE+U.

Magnetic moment (μB per atom): 0.46

abc: 4.9461 4.9502 7.0564
angles: 84.14 89.68 60.50
Atoms (fractional coordinates):
Li (0.1948, 0.1126, 0.2859)
Li (0.8052, 0.8874, 0.7141)
Fe (0.5000, 0.5000, 0.0000)
P (0.1455, 0.2181, 0.7617)
P (0.8545, 0.7819, 0.2383)
O (0.1647, 0.7647, 0.1794)
O (0.1659, 0.2342, 0.5411)
O (0.1746, 0.4875, 0.8344)
O (0.4296, 0.8959, 0.8346)
O (0.5704, 0.1041, 0.1654)
O (0.8254, 0.5125, 0.1656)
O (0.8341, 0.7658, 0.4589)
O (0.8353, 0.2353, 0.8206)

Which is most stable, and by how much? version x, by 0.026 eV/atom.

Version w
This record from Alexandria describes a geometry-optimized Li2FeP2O8 structure. The functional is PBE+U.

Magnetic moment (μB per atom): 0.30

abc: 5.1027 5.1027 14.3749
angles: 94.84 94.84 54.93
Atoms (fractional coordinates):
Li (0.0131, 0.9869, 0.5000)
Li (0.5583, 0.8296, 0.8709)
Li (0.8296, 0.5583, 0.3709)
Li (0.9869, 0.0131, 0.0000)
Fe (0.6177, 0.6912, 0.6631)
Fe (0.6912, 0.6177, 0.1631)
P (0.0580, 0.9306, 0.2783)
P (0.3063, 0.3374, 0.5579)
P (0.3374, 0.3063, 0.0579)
P (0.9306, 0.0580, 0.7783)
O (0.0727, 0.4781, 0.6390)
O (0.1153, 0.9390, 0.8720)
O (0.1196, 0.5357, 0.4725)
O (0.1642, 0.9280, 0.6972)
O (0.3553, 0.5996, 0.0817)
O (0.4312, 0.7353, 0.2797)
O (0.4337, 0.9762, 0.5453)
O (0.4781, 0.0727, 0.1390)
O (0.5357, 0.1196, 0.9725)
O (0.5996, 0.3553, 0.5817)
O (0.6843, 0.9701, 0.7599)
O (0.7353, 0.4312, 0.7797)
O (0.9280, 0.1642, 0.1972)
O (0.9390, 0.1153, 0.3720)
O (0.9701, 0.6843, 0.2599)
O (0.9762, 0.4337, 0.0453)

Version x
This record from Alexandria describes a geometry-optimized Li2FeP2O8 structure. The functional is PBE+U.

Magnetic moment (μB per atom): 0.46

abc: 4.9682 4.9682 7.1344
angles: 90.00 90.00 120.00
Atoms (fractional coordinates):
Li (0.3333, 0.6667, 0.2178)
Li (0.6667, 0.3333, 0.7822)
Fe (0.0000, 0.0000, 0.5000)
P (0.3333, 0.6667, 0.7362)
P (0.6667, 0.3333, 0.2638)
O (0.0516, 0.6942, 0.6666)
O (0.3058, 0.3574, 0.6666)
O (0.3333, 0.6667, 0.9515)
O (0.3574, 0.0516, 0.3334)
O (0.6426, 0.9484, 0.6666)
O (0.6667, 0.3333, 0.0485)
O (0.6942, 0.6426, 0.3334)
O (0.9484, 0.3058, 0.3334)

Which is most stable, and by how much? version x, by 0.015 eV/atom.

Version w
This record from Alexandria describes a geometry-optimized LiFe4P4O16 structure. The functional is PBE+U.

Magnetic moment (μB per atom): 0.76

abc: 7.9993 7.9993 7.9993
angles: 140.95 74.24 119.68
Atoms (fractional coordinates):
Li (0.0000, 0.0000, 0.0000)
Fe (0.0553, 0.6776, 0.3777)
Fe (0.3000, 0.6776, 0.6223)
Fe (0.5446, 0.6751, 0.8695)
Fe (0.8057, 0.6751, 0.1305)
P (0.2789, 0.0262, 0.2527)
P (0.3354, 0.3354, 0.0000)
P (0.7736, 0.0262, 0.7473)
P (0.8286, 0.3286, 0.5000)
O (0.0338, 0.4348, 0.5991)
O (0.0729, 0.9233, 0.1496)
O (0.2108, 0.4400, 0.2292)
O (0.2108, 0.9816, 0.7708)
O (0.2670, 0.9174, 0.3496)
O (0.3406, 0.4400, 0.9007)
O (0.3934, 0.3803, 0.4918)
O (0.3934, 0.9016, 0.0131)
O (0.5393, 0.4400, 0.0993)
O (0.5678, 0.9174, 0.6504)
O (0.7186, 0.4650, 0.7464)
O (0.7186, 0.9722, 0.2536)
O (0.7737, 0.9233, 0.8504)
O (0.8357, 0.4348, 0.4009)
O (0.8885, 0.3803, 0.9869)
O (0.8885, 0.9016, 0.5082)

Version x
This record from Alexandria describes a geometry-optimized LiFe4P4O16 structure. The functional is PBE+U.

Magnetic moment (μB per atom): 0.76

abc: 4.8662 5.9668 10.1107
angles: 90.05 90.61 90.23
=====

Done:
Version w
This record from Alexandria describes a geometry-optimized Li2FeP2O8 structure. The functional is PBE+U.

Magnetic moment (μB per atom): 0.41

abc: 4.8941 4.8941 6.3911
angles: 90.79 90.79 66.22
Atoms (fractional coordinates):
Li (0.0000, 0.0000, 0.0000)
Li (0.6691, 0.6691, 0.2568)
Fe (0.9970, 0.9970, 0.5221)
P (0.3451, 0.3451, 0.2727)
P (0.6406, 0.6406, 0.7538)
O (0.2268, 0.6945, 0.2846)
O (0.2297, 0.2297, 0.4598)
O (0.2478, 0.2478, 0.0664)
O (0.2939, 0.7684, 0.7447)
O (0.6945, 0.2268, 0.2846)
O (0.7372, 0.7372, 0.9634)
O (0.7551, 0.7551, 0.5616)
O (0.7684, 0.2939, 0.7447)

Version x
This record from Alexandria describes a geometry-optimized Li2FeP2O8 structure. The functional is PBE+U.

Magnetic moment (μB per atom): 0.46

abc: 4.9461 4.9502 7.0564
angles: 84.14 89.68 60.50
Atoms (fractional coordinates):
Li (0.1948, 0.1126, 0.2859)
Li (0.8052, 0.8874, 0.7141)
Fe (0.5000, 0.5000, 0.0000)
P (0.1455, 0.2181, 0.7617)
P (0.8545, 0.7819, 0.2383)
O (0.1647, 0.7647, 0.1794)
O (0.1659, 0.2342, 0.5411)
O (0.1746, 0.4875, 0.8344)
O (0.4296, 0.8959, 0.8346)
O (0.5704, 0.1041, 0.1654)
O (0.8254, 0.5125, 0.1656)
O (0.8341, 0.7658, 0.4589)
O (0.8353, 0.2353, 0.8206)

Which is most stable, and by how much? version x, by 0.026 eV/atom.

Version w
This record from Alexandria describes a geometry-optimized Li2FeP2O8 structure. The functional is PBE+U.

Magnetic moment (μB per atom): 0.30

abc: 5.1027 5.1027 14.3749
angles: 94.84 94.84 54.93
Atoms (fractional coordinates):
Li (0.0131, 0.9869, 0.5000)
Li (0.5583, 0.8296, 0.8709)
Li (0.8296, 0.5583, 0.3709)
Li (0.9869, 0.0131, 0.0000)
Fe (0.6177, 0.6912, 0.6631)
Fe (0.6912, 0.6177, 0.1631)
P (0.0580, 0.9306, 0.2783)
P (0.3063, 0.3374, 0.5579)
P (0.3374, 0.3063, 0.0579)
P (0.9306, 0.0580, 0.7783)
O (0.0727, 0.4781, 0.6390)
O (0.1153, 0.9390, 0.8720)
O (0.1196, 0.5357, 0.4725)
O (0.1642, 0.9280, 0.6972)
O (0.3553, 0.5996, 0.0817)
O (0.4312, 0.7353, 0.2797)
O (0.4337, 0.9762, 0.5453)
O (0.4781, 0.0727, 0.1390)
O (0.5357, 0.1196, 0.9725)
O (0.5996, 0.3553, 0.5817)
O (0.6843, 0.9701, 0.7599)
O (0.7353, 0.4312, 0.7797)
O (0.9280, 0.1642, 0.1972)
O (0.9390, 0.1153, 0.3720)
O (0.9701, 0.6843, 0.2599)
O (0.9762, 0.4337, 0.0453)

Version x
This record from Alexandria describes a geometry-optimized Li2FeP2O8 structure. The functional is PBE+U.

Magnetic moment (μB per atom): 0.46

abc: 4.9682 4.9682 7.1344
angles: 90.00 90.00 120.00
Atoms (fractional coordinates):
Li (0.3333, 0.6667, 0.2178)
Li (0.6667, 0.3333, 0.7822)
Fe (0.0000, 0.0000, 0.5000)
P (0.3333, 0.6667, 0.7362)
P (0.6667, 0.3333, 0.2638)
O (0.0516, 0.6942, 0.6666)
O (0.3058, 0.3574, 0.6666)
O (0.3333, 0.6667, 0.9515)
O (0.3574, 0.0516, 0.3334)
O (0.6426, 0.9484, 0.6666)
O (0.6667, 0.3333, 0.0485)
O (0.6942, 0.6426, 0.3334)
O (0.9484, 0.3058, 0.3334)

Which is most stable, and by how much? version x, by 0.015 eV/atom.

Version w
This record from Alexandria describes a geometry-optimized LiFe4P4O16 structure. The functional is PBE+U.

Magnetic moment (μB per atom): 0.76

abc: 7.9993 7.9993 7.9993
angles: 140.95 74.24 119.68
Atoms (fractional coordinates):
Li (0.0000, 0.0000, 0.0000)
Fe (0.0553, 0.6776, 0.3777)
Fe (0.3000, 0.6776, 0.6223)
Fe (0.5446, 0.6751, 0.8695)
Fe (0.8057, 0.6751, 0.1305)
P (0.2789, 0.0262, 0.2527)
P (0.3354, 0.3354, 0.0000)
P (0.7736, 0.0262, 0.7473)
P (0.8286, 0.3286, 0.5000)
O (0.0338, 0.4348, 0.5991)
O (0.0729, 0.9233, 0.1496)
O (0.2108, 0.4400, 0.2292)
O (0.2108, 0.9816, 0.7708)
O (0.2670, 0.9174, 0.3496)
O (0.3406, 0.4400, 0.9007)
O (0.3934, 0.3803, 0.4918)
O (0.3934, 0.9016, 0.0131)
O (0.5393, 0.4400, 0.0993)
O (0.5678, 0.9174, 0.6504)
O (0.7186, 0.4650, 0.7464)
O (0.7186, 0.9722, 0.2536)
O (0.7737, 0.9233, 0.8504)
O (0.8357, 0.4348, 0.4009)
O (0.8885, 0.3803, 0.9869)
O (0.8885, 0.9016, 0.5082)

Version x
This record from Alexandria describes a geometry-optimized LiFe4P4O16 structure. The functional is PBE+U.

Magnetic moment (μB per atom): 0.76

abc: 4.8662 5.9668 10.1107
angles: 90.05 90.61 90.23